Birmingham pub bombing campaigner to run for police commissioner
Julie Hambleton simply wants to see justice, not just for her sister but for all victims of crime.

The former university lecturer has spent the last 10 years fighting along side her brother, Brian, for the 21 who died in Birmingham bombings.
And that's because after 47 years the biggest mass murder in 20th century peacetime Britain remains unsolved.
On the night of November 21, 1974, 21 were killed and 220 injured when two bombs went off in two Birmingham pubs.
One of the victims was Maxine Hambleton, 18, a shop assistant at Miss Selfridge in Lewis’s department store, in the city centre.
Maxine's younger sister, Julie, was left devastated – along with the rest of her family – but in the last few years she has dedicated her life to the Justice for the 21 (J421) group after it was officially launched in 2012.

The name was founded by Michael Lutwyche, the campaign's longest and staunchest supporter. Since then it has attracted numerous supporters across the globe, including fellow family members of the 21 victims.
And now, with the backing of her loyal supporters, she has thrown her name into the hat for the West Midlands Police and Crime Commissioner position.
As an independent candidate, she relies entirely on donations to run her grass root campaign but she is determined to make a difference and says, if elected, she will serve the public with the same passion and determination that has seen the J421 movement attract global attention.
"It was actually put to me by supporters of J421. They suggested I should run for the PCC position, but at first I brushed it off," said Julie.
"Then I mentioned it to my family and then I thought, 'why not?'.
"We live in a democratic society and I've got as much right to stand as anyone else. That's what democracy is all about.
"And who knows how badly the establishment can let down victims of crime more than we do?
"I'll also be standing as an independent. I've never had any political affiliation. I'm neither left nor right leaning, I just know the difference between right and wrong.
"Everything we have been through during this campaign, I've already met three Home Secretaries, MPs, Lords, Dames and senior officers at West Midlands Police.
"I've become an expert in this sort of field purely through my own experiences.
"I also know what it's like to live as a family who have been the victim of a heinous crime, and to have felt let down by the very establishment that is meant to represent and serve us.
"They think they can just pacify us but this crime, the pub bombings, continues to be the biggest unsolved mass murder in the history of peacetime Britain in the 20th century. People tend to forget that."

Julie, 58, admits the frustration she has felt during her 10-year campaign has also inspired her to stand up for the public, particularly victims of crime whom she feels have been badly let down in recent years.
"Whilst being the PCC is a well paid job I would be completely transparent with the public.
"And if they think the position is a waste of time, I would be transparent with the public about that as well.
"As a public servant you should be there to serve the public. It's not about the money. In fact, I would do the job for nothing.
"Most importantly, I will be there for all victims of crime and I will hold the senior management at West Midlands Police to account."
Julie also wants to help make the police force more diverse as well as encouraging more women into senior positions.
"Less than 10 per cent of the force comes from the BAME (Black, Asian and Minority Ethnic) community and the number of male inspectors is more than 50 per cent higher, despite the population of the West Midlands having sightly more women.
"But I don't want to get into a manifesto war because I would put money on the fact the difference between the parties' plans would be the width of a cigarette paper.
"Everyone is aware of the issues and the rise in crime, particularly knife and gun crime, as well as domestic violence, which has been terrible during lockdown."
Most important for Julie is the support of her small team but she is hoping to gain more of the public's support as she goes up against the more experienced and traditional parties.
"As an independent, I don't have a political machine behind me or any huge finances in place to support me.
"Many have what seems like a bottomless pit of money, with people employed to make phone calls, create posters, drop leaflets and things like that, and candidates are also given media training.
"So many of my supporters have offered their services for free because I don't have any funding.
"It costs £5,000 just to enter the race, which you get back if you seal a certain amount of the vote, but if I get any of it back it would go towards the J421 campaign fund.

"I do not want a war of words because that's not what I'm about.
"If someone else wins, so be it and good luck to them. We don't want this to be a negative campaign.
"My campaign will be transparent and respectful because that's who I am. I'd like more people to know me as a person.
"And, if I was lucky enough to win, I would do exactly what it says on the tin – I will be there for the victims of crime, first and foremost, reporting back to them."
Julie said she was also concerned far too many crimes were left unrecorded last year by West Midlands Police.
According to the latest figures, in 2019, 22,070 burglary cases were closed without pinpointing a suspect.
"These are crimes and the current PCC keeps saying the force doesn't have enough money or officers.
"But why does that mean crimes can't be reported properly? What are they fearful of? I will hold the senior management of West Midlands Police to account.
"A lot of people think I have an axe to grind – of course I do – but I've always done every job to the best of my ability.
"I will give more than 100 per cent, so much so I recently took early retirement from my role as lecturer at a university.
"When I started J421, I reduced my hours because the campaign was becoming so important and I wanted to dedicate my life to it.
"But if I get this job, the victims of crime will get 100 per cent of my attention.
"Of course J421 will also be on my mind but it's all connected, it's all about victims of crime and getting justice."
Julie first began the idea of forming a campaign group, with the aim of getting Justice for the 21 who were murdered, in 2009.
But since then it has grown beyond all recognition, with supporters pledging their help, particularly across the footballing fraternity, bringing rival fans together to fight for a single cause.

'''
[1]
DFT (GGA-PBE) results for crystalline Li2PtO2 at its relaxed geometry.

Cell: 5.1625 5.1625 5.1625 Å, 144.84 135.90 57.61°
Closest atoms and distances in Å follow each position.
Fractional coordinates of all 5 atoms:
1 Li 0.6893 0.6893 0.0000  4 O 1.97-2.13
2 Li 0.3107 0.3107 0.0000  4 O 1.97-2.13
3 Pt 0.0000 0.0000 0.0000  4 O 2.07
4 O 0.8498 0.3498 0.5000  4 Li 1.97-2.13, 2 Pt 2.07
5 O 0.1502 0.6502 0.5000  4 Li 1.97-2.13, 2 Pt 2.07

Values from the calculation:
- Volume: 10.94 A^3/atom
- Total moment: 0.00 μB per formula unit
- ρ: 7.3 Mg/m³
- Energy of formation from the pure elements: -8.0 eV per formula unit


[2]
DFT (GGA-PBE) results for crystalline RbLiO at its relaxed geometry.

Cell: 3.5599 6.6052 9.1175 Å, 90.00 90.00 90.00°
Closest atoms and distances in Å follow each position.
Fractional coordinates of all 12 atoms:
1 Rb 0.2500 0.9958 0.8230  3 O 2.91-2.95, 2 Li 3.00-3.05
2 Rb 0.7500 0.0042 0.1770  3 O 2.91-2.95, 2 Li 3.00-3.05
3 Rb 0.2500 0.4958 0.6770  3 O 2.91-2.95, 2 Li 3.00-3.05
4 Rb 0.7500 0.5042 0.3230  3 O 2.91-2.95, 2 Li 3.00-3.05
5 Li 0.7500 0.8976 0.4973  3 O 1.91-1.98
6 Li 0.2500 0.6024 0.9973  3 O 1.91-1.98
7 Li 0.7500 0.3976 0.0027  3 O 1.91-1.98
8 Li 0.2500 0.1024 0.5027  3 O 1.91-1.98
9 O 0.2500 0.8108 0.4533  3 Li 1.91-1.98
10 O 0.7500 0.6892 0.9533  3 Li 1.91-1.98
11 O 0.2500 0.3108 0.0467  3 Li 1.91-1.98
12 O 0.7500 0.1892 0.5467  3 Li 1.91-1.98

Values from the calculation:
- Volume: 17.87 A^3/atom
- ρ: 3.4 Mg/m³
- Energy of formation from the pure elements: -4.8 eV per formula unit


1.
Material: Er2BPt6
Method: DFT, PBE-GGA
State: relaxed

Cell: 4.301 4.301 8.095 Å, 90.00 90.00 90.00°
Atoms (fractional coordinates):
Er1 0.000 0.000 0.241
Er2 0.000 0.000 0.759
B1 0.500 0.500 0.500
Pt1 0.000 0.500 0.000
Pt2 0.000 0.500 0.500
Pt3 0.500 0.000 0.000
Pt4 0.500 0.000 0.500
Pt5 0.500 0.500 0.239
Pt6 0.500 0.500 0.761

Values from the calculation:
Its theoretical density is 16.8 g cm⁻³. The formation energy from the elements is -0.95 eV per atom. As for the calculated volume: 16.641 Å³ per atom.

2.
Material: ErReB4
Method: DFT, PBE-GGA
State: relaxed

Cell: 5.947 11.501 3.605 Å, 90.00 90.00 90.00°
Atoms (fractional coordinates):
Er1 0.127 0.150 0.000
Er2 0.373 0.650 0.000
Er3 0.627 0.350 0.000
Er4 0.873 0.850 0.000
Re1 0.134 0.412 0.000
Re2 0.366 0.912 0.000
Re3 0.634 0.088 0.000
Re4 0.866 0.588 0.000
B1 0.020 0.693 0.500
B2 0.114 0.548 0.500
B3 0.136 0.969 0.500
B4 0.210 0.815 0.500
B5 0.290 0.315 0.500
B6 0.364 0.469 0.500
B7 0.386 0.048 0.500
B8 0.480 0.193 0.500
B9 0.520 0.807 0.500
B10 0.614 0.952 0.500
B11 0.636 0.531 0.500
B12 0.710 0.685 0.500
B13 0.790 0.185 0.500
B14 0.864 0.031 0.500
B15 0.886 0.452 0.500
B16 0.980 0.307 0.500

Values from the calculation:
Its theoretical density is 10.7 g cm⁻³. The formation energy from the elements is -0.60 eV per atom. As for the calculated volume: 10.276 Å³ per atom.
'''

"I was watching the news at home one day and there was a piece about all these public inquires that were going on and how many millions they were costing.
"Nobody had been killed in any of these cases and there were about two or three of them going on at the same time.
"It made me think, 'why hasn't there been a public inquiry into the Birmingham pub bombings?'.
"I wrote to the then Chief Constable of West Midlands Police, Chris Sims, but it took him nearly five years to get any response, in 2014 – and even then they thought they could pacify us, by reviewing the case files between 2012 and 2014.
"I was warned early on about the 'three Ds' tactics, which is: deny, delay and then wait for death, so they don't have to do anything."
It was her brother, Brian, who came up with the idea of starting an online petition, which was set up in November 2011.
"We got some signatures and then were interviewed by a local newspaper in 2012, as well as doing a live radio phone in.
"Both Brian and I were crying during that radio interview. It's impossible to get across the grief we, and other victims, have felt as a family.

Data records that have nothing to do with the article:
+++
[1]
# WO2F

WO2F after structural relaxation (GGA+U, the Materials Project database).

Properties
calculated volume: 15.59 Å³ per atom
theoretical density: 6.25 Mg/m³
ΔE_f: -52.31 kcal/mol of atoms
space group: Cc, No. 9
excess energy over the best structure of this formula in the dataset: 51 meV per atom

a b c (Å): 5.5596 5.5596 5.7518
angles (deg): 59.09 59.09 60.85
Element x y z (fractional)
O 0.9899 0.9619 0.6015
O 0.4960 0.9369 0.0970
O 0.9619 0.9899 0.1015
O 0.9369 0.4960 0.5970
F 0.4695 0.4422 0.5953
F 0.4422 0.4695 0.0953
W 0.1969 0.7492 0.3425
W 0.7492 0.1969 0.8425

***

[2]
# WOF4

WOF4 after structural relaxation (GGA+U, the Materials Project database).

Properties
calculated volume: 18.14 Å³ per atom
theoretical density: 4.21 Mg/m³
ΔE_f: -60.88 kcal/mol of atoms
space group: Pca2_1, No. 29
excess energy over the best structure of this formula in the dataset: 43 meV per atom

a b c (Å): 5.5121 9.3468 16.9027
angles (deg): 90.00 90.00 90.00
Element x y z (fractional)
W 0.4684 0.5011 0.1503
W 0.8485 0.1005 0.6266
W 0.5316 0.5011 0.6503
W 0.8485 0.6005 0.8734
W 0.1515 0.6005 0.3734
W 0.5316 0.0011 0.8497
W 0.4684 0.0011 0.3497
W 0.1515 0.1005 0.1266
F 0.4356 0.9145 0.9448
F 0.6769 0.0165 0.7429
F 0.5322 0.5577 0.9093
F 0.0556 0.4095 0.3847
F 0.2718 0.4136 0.7037
F 0.9444 0.4095 0.8847
F 0.6769 0.5165 0.7571
F 0.5644 0.9145 0.4448
F 0.0948 0.1368 0.7010
F 0.7282 0.4136 0.2037
F 0.8512 0.5225 0.6116
F 0.3088 0.2735 0.1724
F 0.9052 0.6368 0.2990
F 0.3231 0.0165 0.2429
F 0.4356 0.4145 0.5552
F 0.7282 0.9136 0.2963
F 0.0556 0.9095 0.1153
F 0.9052 0.1368 0.2010
F 0.6912 0.7735 0.8276
F 0.4678 0.5577 0.4093
F 0.1488 0.0225 0.3883
F 0.8512 0.0225 0.8884
F 0.4678 0.0577 0.0907
F 0.5322 0.0577 0.5907
F 0.2718 0.9136 0.7963
F 0.3088 0.7735 0.3276
F 0.9444 0.9095 0.6153
F 0.6912 0.2735 0.6724
F 0.5644 0.4145 0.0552
F 0.0948 0.6368 0.7990
F 0.1488 0.5225 0.1116
F 0.3231 0.5165 0.2571
O 0.5743 0.6725 0.1389
O 0.9705 0.6777 0.9564
O 0.9705 0.1777 0.5436
O 0.4257 0.6725 0.6389
O 0.0295 0.6777 0.4564
O 0.4257 0.1725 0.8611
O 0.0295 0.1777 0.0436
O 0.5743 0.1725 0.3611

***

[3]
# WOF4

WOF4 after structural relaxation (GGA+U, the Materials Project database).

Properties
calculated volume: 16.64 Å³ per atom
theoretical density: 4.59 Mg/m³
ΔE_f: -60.50 kcal/mol of atoms
space group: P-1, No. 2
excess energy over the best structure of this formula in the dataset: 59 meV per atom

a b c (Å): 5.2578 6.1415 6.4349
angles (deg): 102.42 93.01 98.96
Element x y z (fractional)
F 0.6317 0.4535 0.7459
F 0.8219 0.8352 0.1372
F 0.1452 0.6230 0.9051
F 0.9814 0.2627 0.5139
F 0.1781 0.1648 0.8628
F 0.8548 0.3770 0.0949
F 0.3683 0.5465 0.2541
F 0.0186 0.7373 0.4861
O 0.6586 0.0045 0.7397
O 0.3414 0.9955 0.2603
W 0.1348 0.7426 0.2146
W 0.8652 0.2574 0.7854

***

Which of these has the lowest calculated volume?
WO2F

***

What is the excess energy over the best structure of this formula in the dataset in the first record?
51 meV per atom

=====

Entry 1:
+++

"In this interview, we set out three main points: we did not want an apology, because that's just words; we did not want money, because that was never going to bring them back; but we did want justice for those who could not fight for themselves.
"On the back of all that, over the past few years, we've had so much support from the football fraternity, in the UK, Ireland and across the world.
"Supporters have had special flags made up and some even have all the names of the 21 who were murdered on them. They look fantastic and there's also t-shirts, mugs, stickers, everything.
"All clubs, from Aston Villa and Birmingham City, to Celtic and Rangers, and even Halesowen Town and Stourbridge Town, have come on board.
"Even so, I still get upset now, when I think of what happened to Maxine.
"We didn't know mum had to go and identify her either. She protected us from knowing this, but told us about six years ago.
"I went to bed crying for two months after hearing that. At one point Maxine was a daughter, a sister, with her whole life ahead of her, and then she's gone in the blink of an eye.
"People cannot grasp the harrowing grief that causes a family. You can't explain it.
"Sometimes I wish I was a singer or musician and then maybe I could express it. The pain is immeasurable."

The campaign began to progress even further in April 2014 when Julie and her brother were contacted by Bill Craig, the brother of James Craig, 34, who was the last person to die after the explosion in 1974.
"James was a fit young man and somehow managed to survive for 10 days, but when Bill went to see him he did not recognise him because his injuries were so bad. So he wanted to help us.
"We then managed to get legal representation from a firm in Belfast where they have, and continue, to work for us for free.
"They could not believe how we were being treated either.
"They had worked with victims of crime throughout The Troubles, on both sides."
Six people were arrested over the bombings in the Mulberry Bush and Tavern in the Town pubs, in Birmingham.
They were eventually released after serving 16 years behind bars in one of the worst miscarriages of justice ever seen in Britain.

One of those was Paddy Hill, who has also become one of J421's strongest supporters.
"He would do anything to try and get justice," said Julie.
"Professor Gavin Schaffer, who teaches modern history, had been following our campaign and also got in contact.
"Brian and I had always wanted to try to rebuild the strong community that had existed in Birmingham, particularly with the Irish, before the pub bombings.
"Professor Schaffer wanted to help us and it was his idea to get in contact with the Birmingham Irish Association and, ultimately, the Irish community in Birmingham."
And the support has been vital with the campaign taking its battle to the courts, which ultimately ended in disappointment.
J421 had challenged a coroner's decision not to name the perpetrators, their associates and those who prepared and planted the bombs during any future inquests after a judicial review was brought on behalf of the bereaved families.
But the coroner appealed the decision, which was up held by the Court of Appeal in 2018.

Judges stated the complexity of the case, along with the time elapsed since the attacks, made it arduous to look into who was behind the bombings and why.
"We challenged the coroner's original decision, to not name the suspects, and our supporters helped us raise over £80,000 because we were not even entitled to any legal aid – and we won the case to get a judicial review.
"But when the Court of Appeal ruled against us, after the coroner appealed the decision, we decided we couldn't try and go to the Supreme Court because it was asking too much of supporters. We would have needed another £150,000.
"West Midlands Mayor Andy Street has really supported us and he's raised it with Home Secretary Priti Patel, who has agreed to meet us.
"Unfortunately, two meetings have been postponed because of Covid but hopefully she will agree to launching a public enquiry because, ultimately, that's what we want. She's said she'll consider it anyway and managed to hold a virtual meeting on Wednesday.
"In essence, we are pleased to have finally had the chance to speak with the Home Secretary but we are still no further to getting any indication of us being given a statutory inquiry, which is the only mechanism left that will provide us the opportunity to finally discover the truth as to what 'who bombed Birmingham'.
"I actually begged her to please give us what our loved ones deserve.
"The Home Secretary has said she is determined to meet us face to face, where I implored her to do so 'much sooner than later, because we are all getting older'.
"As such, we urge the Home Secretary to meet us within the next four weeks, when lockdown regulations will be lighter, so she may give us an indication as to what decision she is going to make regarding us having what we want."
However, Julie said the group had received a lot of support from the Irish community, especially Maurice Malone, CEO of the Birmingham Irish Association.
"It was thanks to him and Network Rail we were able to get the memorial at Birmingham New Street railway station to the 21 victims," she said.
"So many young people today do not even know the bombings even happened, the authorities have done such a good job at trying to cover everything up.
"Maurice worked so hard to get our loved ones a more poignant memorial and we are so grateful for that.
"And you have to remember how much the Irish community suffered in Birmingham after the bombings.
"Even now, we still do not know for sure who did it because the IRA has never officially taken responsibility.
"So many people hated the Irish at that time, including my mother, but we've visited Northern Ireland and the Republic of Ireland and everyone has been incredible to us.
"My mother and I will not have a bad word said about them. They understand what we're trying to do and they've been so accepting.

"We also want to thank our legal team, KRW Law, which continues to work pro bono for us, as well as our barristers Judi Kemish, Malachy McGowan, Kevin Morgan, Adam Straw, Tom Stoate and Sam Fowles, along with Ashley Underwood QC and Leslie Thomas QC, most of whom have also represented us pro bono.
"Everything I do is for the 21. It's been my life for the last 10 years and I've now decided to leave my part-time position as a lecturer at University College Birmingham, taking early retirement.
"But without our incredible, magnanimous supporters our campaign would not exist.
"The whole movement is a fantastic example of what the spirit of humanity can do, from all backgrounds, cultures and religions, when they come together.
"All politics are left at the door and everyone has pulled together, to follow our motto – Let Right Be Done."
To donate to Julie's campaign, visit